Sunday, November 03, 2013

-- Calculated crystals from another source follow --
____________
Entry 1:
This entry pairs a crystal structure of LiZnInF6 with its simulated powder diffraction line list. Radiation: a wavelength of 1.5418 Å. Structure: a structure optimized by DFT (PBE).
Peak positions follow from Bragg's law for the DFT cell and can differ from measured ones.

Crystal structure
```
LiZnInF6
1.0
9.1001 0.0000 0.0000
-4.5501 7.8809 0.0000
0.0000 0.0000 4.6945
Li Zn In F
3 3 3 18
Cartesian
-3.1588 5.4713 0.0000 Li
1.3912 2.4097 0.0000 Li
6.3177 0.0000 0.0000 Li
-1.6142 2.7959 2.3472 Zn
3.2284 0.0000 2.3472 Zn
2.9359 5.0851 2.3472 Zn
0.0000 0.0000 2.3472 In
0.0000 5.2540 4.6690 In
4.5501 2.6270 0.0255 In
-0.0869 1.8034 3.4415 F
-1.5996 4.4584 3.5396 F
-2.9449 7.0545 3.4415 F
-0.0674 3.4745 1.1058 F
-1.5074 6.2020 1.1058 F
1.6052 0.8265 1.2530 F
1.4888 4.2664 3.5396 F
3.0427 1.6789 3.5887 F
0.1108 7.0371 3.5396 F
2.9504 3.4225 1.1549 F
1.5747 6.0854 1.1058 F
4.6609 0.8439 1.1549 F
3.0317 6.9040 3.4415 F
4.4827 4.4064 3.5887 F
6.1248 1.7956 3.5887 F
4.4632 6.0776 1.2530 F
6.0389 3.6145 1.1549 F
7.5818 0.9769 1.2530 F
```

The 10 most intense peaks (2θ = 10–90°), in order of rising 2θ:
2theta	I/Imax	(hkl)
19.51	100.0	1 1 0
22.04	94.9	0 1 1
27.30	92.3	1 1 1
29.60	65.1	2 0 1
34.13	46.3	3 0 0
35.70	57.7	1 2 1
39.30	38.0	0 3 1
52.26	90.7	3 0 2
54.38	29.1	2 3 1
61.10	36.7	3 3 0

---

Entry 2:
This entry pairs a crystal structure of Na2MgInF7 with its simulated powder diffraction line list. Radiation: a wavelength of 1.5418 Å. Structure: a structure optimized by DFT (PBE).
Peak positions follow from Bragg's law for the DFT cell and can differ from measured ones.

Crystal structure
```
Na2MgInF7
1.0
10.6224 0.0000 0.0000
0.0000 7.4619 0.0000
0.0000 0.0000 7.6755
Na Mg In F
8 4 4 28
Cartesian
0.0000 0.0000 0.0000 Na
0.0000 3.7309 0.0000 Na
2.4261 1.8655 2.0502 Na
2.8852 5.5964 5.8880 Na
5.3112 0.0000 3.8378 Na
5.3112 3.7309 3.8378 Na
7.7373 1.8655 1.7875 Na
8.1964 5.5964 5.6253 Na
0.0000 0.0000 3.8378 Mg
0.0000 3.7309 3.8378 Mg
5.3112 0.0000 0.0000 Mg
5.3112 3.7309 0.0000 Mg
2.5151 1.8655 5.7586 In
2.7962 5.5964 1.9209 In
7.8263 1.8655 5.7546 In
8.1074 5.5964 1.9169 In
0.3653 1.8655 3.4412 F
1.3256 0.1427 5.3763 F
1.3256 3.5882 5.3763 F
1.4385 4.0887 2.4948 F
1.4385 7.1041 2.4948 F
1.4885 1.8655 7.6268 F
1.6955 5.5964 0.1260 F
3.6157 1.8655 3.9638 F
3.8228 5.5964 3.7891 F
3.8727 0.3577 6.3325 F
3.8727 3.3732 6.3325 F
3.9856 3.8737 1.5385 F
3.9856 7.3191 1.5385 F
4.9459 5.5964 7.2789 F
5.6766 1.8655 0.3966 F
6.6368 0.1427 6.1370 F
6.6368 3.5882 6.1370 F
6.7497 4.0887 1.3430 F
6.7497 7.1041 1.3430 F
6.7997 1.8655 3.8864 F
7.0067 5.5964 3.7117 F
8.9269 1.8655 7.5495 F
9.1340 5.5964 0.0487 F
9.1840 0.3577 5.1807 F
9.1840 3.3732 5.1807 F
9.2969 3.8737 2.2992 F
9.2969 7.3191 2.2992 F
10.2571 5.5964 4.2343 F
```

The 10 most intense peaks (2θ = 10–90°), in order of rising 2θ:
2theta	I/Imax	(hkl)
16.57	100.0	0 1 1
16.69	33.8	2 0 0
23.60	80.1	2 1 1
28.70	93.0	2 0 2
29.25	75.0	2 2 0
41.77	30.9	4 2 0
____________

The DiFi lie

Dianne Feinstein has proposed an NSA "fix" which is really a sneaky way to legalize the data collection that everyone hates. Techdirt calls it a bill filled with "a bunch of misleading claptrap designed to make people think it's real reform. It even confused some folks who know this stuff into thinking, after a quick first pass, that it "banned" the bulk data collection."

A couple of points:

1. If, as we've constantly been told, the NSA has never done anything illegal, then why does DiFi feel the need to legalize what they've been doing? Just a couple of days ago, Michael Chertoff wrote a piece (see below) which said that the NSA's metadata collection was "authorized." If the practice is authorized, why would it need to be legalized?

2. Using Dianne Feinstein as the frontwoman in this crusade is a classic example of what David Sirota calls "liberal washing." This technique will continue to be effective as long as the media continues to pretend that any politician with a (D) next to his or her name must be a liberal.

If you want to read DiFi's own defense of this bill, go here. Her argument is standard "terrorists gonna getcha" guff:
We know that terrorists remain determined to kill Americans and our allies. According to new findings by the National Consortium for the Study of Terrorism and Responses to Terrorism, more than 8,500 terrorist attacks worldwide killed nearly 15,500 people last year.
Oooh. Scary. And very misleading. Think about it: If terrorists were racking up that kind of tally each year, wouldn't you personally know someone who lost a loved one to terrorism?

Here's the truth:
According to data tracked by the Triangle Center on Terrorism and Homeland Security in North Carolina and released Friday (.PDF), there were nine terrorist plots involving American Muslims in 2012. Only one of them, the attempted bombing of a Social Security office in Arizona, actually led to any violence. There were no casualties in that or any other incident. And the Triangle study tracks indictments, not convictions.
Since 9/11, Kurzman and his team tallies, 33 Americans have died as a result of terrorism launched by their Muslim neighbors. During that period, 180,000 Americans were murdered for reasons unrelated to terrorism. In just the past year, the mass shootings that have captivated America’s attention killed 66 Americans, “twice as many fatalities as from Muslim-American terrorism in all 11 years since 9/11,” notes Kurzman’s team.

Law enforcement, including “informants and undercover agents,” were involved in “almost all of the Muslim-American terrorism plots uncovered in 2012,” the Triangle team finds.
That's the truth about terror. So who is DiFi trying to kid?

Ellen Nakishima wrote an excellent article on the DiFi's fakery in the Washington Post:
But if the FISA Improvements Act became law, Congress would be validating expansive powers that have been claimed by the NSA and upheld by a court — but never explicitly written into statute — to harvest the phone and e-mail records of millions of Americans, the advocates say.

“The bill that the intelligence committee voted on this week would expressly authorize this bulk collection for the first time, and that would be a huge step backward for the rights of law-abiding Americans,” said Sen. Ron Wyden (D-Ore.), one of four committee members who voted against moving the bill.
Nakishima goes on to make a point similar to the one I made in my preceding post about Michael Chertoff:
Several former senior Justice Department officials, who were not permitted by their current employers to speak on the record, said that e-mail metadata are clearly a business record. “It’s a classic business record,” one former official said. “It’s a record that’s created by the company for the purpose of providing a service. It’s not created at the request of law enforcement or the government.”

Another former official said Internet companies’ servers “create logs for security purposes and to detect fraud, so yes, business records comprised of Internet metadata are generated as part of the company’s ordinary course of business.” And, he added, “that would include Gmail or Hotmail or any of those services.”
This creates a terrible precedent. We cannot allow the government to snoop into the files of a private business without a warrant.

And then we get to the truly sneaky stuff:
Wyden and privacy advocates are also concerned that the bill would place in statute authority for the NSA to search without a warrant for Americans’ e-mail and phone call content collected under a separate FISA surveillance program intended to target foreigners overseas. That is what Wyden has called a “backdoor search loophole.”
In other words, it's no good pretending that this bill is just about metadata, as opposed to actual content.

The marvelous Marcy Wheeler, as is her wont, takes the matter further:
But the dead giveaway, the tell that this is a big scam to provide the appearance of limits while at the same time enshrining and possibly expanding the warrantless searching of “incidentally” collected US person content, is where the aides say this:

“There have only been a ‘small number’ of queries each year.”

Hahahaha! Have you missed the number of times NSA has said it would be impossible for them to count the number of Americans whose data has been searched in such a way?! NSA has spent well over a year making that claim, and DiFi has shielded that claim every step of the way.

So when DiFi’s anonymous aides make the claim that the queries protected by the law have only been used a few times a year — indeed, when they make the claim they can be and have been counted at all — they make it crystal clear the protections in the law do not pertain to the vast majority of the searches on US person data that has been collected “incidentally” under Section 702 which — the NSA assures us — cannot be counted.

What DiFi and her aides — by their own anonymous and perhaps inadvertent admission — plan to protect is a tiny fraction of the searches on US person data collected under Section 702, the countable fraction of the practice that NSA can’t or won’t count without incurring resource problems.

OK. Thanks anonymous DiFi aides. I wasn’t sure we had cause to worry. But now you’ve made it crystal clear what is going on.

1 comment:

Gregoryp said...

The number of people murdered in this country is frighteningly large. Unfathomable, really. To put that in perspective, I live in a pretty good sized city in NE Texas. We have about 25,000 people living here. We have just under 50,000 people living in our county. If we start adding together the populations of the neighboring counties it takes me 4 counties to get to just under 1/2 of that number. If someone dropped a bomb in the area that killed all 90,000 of us it would be the biggest story ever. Yet, when we see the running totals all we hear is crickets chirping. Something is very wrong in this country.